
171 murderer

"No! It is reasonable that the three-legged golden black egg should have strong life fluctuations, but this three-legged golden black egg does not have a trace of life fluctuations, only rich energy..." Nangong Ling looked at the three-legged golden black egg, and his eyes suddenly paused and said doubtfully.

"Yes! It's really strange..." Lei Feng also showed a meditative expression on his face, and he looked at the three-legged golden black egg above the altar in an instant.

"I remember in a trance..." The big head suddenly opened his mouth and suddenly attracted the attention of Lin Fan and others. "In the deepest part of here, there is a sleeping existence. His breath makes me feel afraid. Now, I feel that the breath of existence seems to be a little stronger, and the energy in this three-legged golden black egg, like Then he was guided to the unknown existence..."

As soon as the big head said this, it immediately startled Lin Fan and others. In the eyes of everyone, the big head is a complete small monster, but now he actually said that in the depths of this Sun Valley, there is a presence that makes him feel afraid. What kind of strong man should he be? And the energy of the three-legged golden black egg is guided to the unknown existence. Obviously, this existence is using the energy of the three-legged golden black egg to heal the injury. What kind of injury needs the three-legged golden black egg to heal? What kind of body can accommodate the almost endless energy of the three-legged golden black egg? Lin Fan and others were completely shocked!

"That existence is much older than mine, but I can feel that his breath is different from us, as if... it comes from the sky..." The big words are like a dream, but the pause revealed stimulates the nerves of Lin Fan and others.

Hearing this, Lin Fan and others immediately remembered what the saints said before, the chaotic clan, the Xuanhuang clan, the mortal clan, and the immortals and gods in the place where Pangu's heart was located. This unknown atmosphere is so powerful that I'm afraid that nine out of ten (harmonious) nine are immortals or progenies!

Thinking of this possibility, Lin Fan and others felt a chill on their bodies. Before the immortals and the gods really grew up, they were ordinary beings and could not resist at all!

"According to what the big head said, that existence is by no means our family. Since he is healing with three golden black eggs, we will borrow this power!" Lin Fan's eyes are firm. He has a feeling that sooner or later he will embark on the road that countless ancestors have fought for. Now he can clear a strong enemy and have more chances of winning in the future.

"Yes, it was necessary to deal with the three-legged golden egg with our strength, but now it is relatively easier. After all, this three-legged golden black egg has lost its life fluctuation, just a sphere with huge energy." Lei Feng nodded.

Wow! Whew! Whew!

At this moment, the sound of hunting in a few clothes sounded. As soon as everyone looked up, they saw several figures rushing towards the hexagonal altar, trying to rush to the three-legged golden black egg first.


When approaching ten feet of the three-legged golden black egg, with the three-legged golden black egg as the center, a dazzling hot light suddenly broke out and suddenly pushed everyone away. The few people suddenly flew back, coughing blood in their mouths, and their faces were gray.

"Sure enough, someone set a ban here." When Tao Ji and several others saw this situation, they seemed to have expected it. Their faces were calm, but they took out their treasures, and then suddenly soared into the air and rushed towards the three-legged golden black egg, but they did not get too close, but hit the mysterious "channel" with the strange treasure far away to connect to the three-legged golden black egg. It's just that this channel is connected to energy. The next moment, I saw a wisp of silk-like energy rushing towards Tao Ji and others through the various channels.

"Hey!" Lin Fan and others were looking at it. Suddenly, they felt a strong wind blowing on their faces. Under the critical situation, their bodies shook, avoided the sudden attack, and stood up. Lin Fan and others looked back and saw seven or eight people smiling at their faces. At the same time, their eyes could not stop turning over the big head, and their intentions were self-evident.

"What a search for death!" Even if Lin Fan's face sank, after Dawei and the big head followed him, he had made up his mind to protect them in any case, but since then, twice. First, there was Bailian religion to kill Dawei, and then Yueyue Palace was unfavorable to the big head. Now, these people are once again wronged with the big head. Lin Fan It's really angry.

At the same time, Dawei's eyes were also flashing fiercely. At this time, his relationship with the big head had risen to be as close as Lin Fan's relationship, and it was also very humane. It also saw the intentions of these people. At the same time, the shocking roar sounded, his body expanded sharply, and in a blink of an eye, he had grown up. To a foot in size, and the cultivation can also reach the critical point between the peak of the marrow and the birth.

"These guys are not good, and there is no guilt in killing them." Lei Feng also said, and then a large bronze plaque with lightning suddenly appeared in his hand, which was a heavy treasure he got from the strange place, which could emit three to five times his power.

Nangong Ling's right hand was also shaken, and a verdant bamboo stick appeared in his hand.

Lin Fan turned his palm, and the blood crying was already in his hand.

Three people and one beast are waiting to attack, but at this time, the change is sudden.

The golden light flashed but had countless black spots of the three-legged golden black egg. Suddenly, it burst out as if it was about to explode. At the same time, a violent and arrogant breath flowed out of it. That breath is a kind of uniqueness, and it is also a kind of arrogance that regards the world as an ant!

## Between two parts of the page: records of molecules
Here is a structure of composition C30H38AsN2O5P2PtS from the OMol25 dataset. Energies are from wB97M-V/def2-TZVPD.

The geometry in XYZ format:
```
80
Properties=species:S:1:pos:R:3:forces:R:3
Pt -0.89179 0.96196 -0.12300 -0.10 0.08 0.29
O -4.15523 -1.45627 0.12332 0.06 0.12 0.01
C -3.61691 -0.41359 0.44165 -0.04 -0.19 -0.08
O -2.79811 0.20997 -0.36949 0.11 0.09 0.19
C -3.97207 0.19325 1.79328 0.02 0.02 0.01
P -2.85747 1.22763 2.81818 0.09 -0.11 -0.06
C -1.24990 0.32543 2.80876 -0.03 -0.14 0.04
C -0.90421 -0.73158 1.95139 0.21 0.36 -0.18
C 0.30214 -1.42403 2.12031 0.00 0.02 0.01
C 1.16042 -1.08371 3.14550 0.02 -0.06 0.04
C 0.82130 -0.04850 4.01323 -0.05 -0.03 0.02
C -0.36553 0.64065 3.84811 -0.03 -0.05 0.04
C -2.43960 2.64721 1.73973 -0.33 0.49 0.15
C -1.37400 3.46964 2.11596 0.08 0.01 0.01
C -1.15921 4.69579 1.50379 0.03 -0.06 0.01
C -2.03447 5.14753 0.52577 0.00 0.00 -0.05
C -3.11715 4.35732 0.16213 0.05 0.00 -0.04
C -3.31694 3.12177 0.76011 0.02 -0.06 -0.02
H -4.30426 -0.63255 2.42241 0.00 0.01 0.05
H -4.86865 0.80355 1.64829 -0.02 -0.01 -0.03
H -1.58560 -1.09452 1.20078 -0.18 -0.22 0.04
H 0.53699 -2.24963 1.45709 -0.04 0.02 0.01
H 2.08145 -1.63530 3.29018 -0.02 0.01 0.01
H 1.47704 0.20040 4.83903 -0.01 -0.01 -0.01
H -0.64113 1.40767 4.56304 -0.01 -0.01 0.00
H -0.70872 3.15251 2.91249 -0.02 0.03 -0.07
H -0.32300 5.31115 1.81366 -0.02 0.00 0.00
H -1.88916 6.11848 0.06795 -0.01 -0.01 0.01
H -3.82404 4.71263 -0.57838 0.01 0.00 0.01
H -4.16539 2.52545 0.45231 -0.01 0.00 0.02
S 0.73945 -6.02351 -1.69441 -0.03 -0.01 0.01
C 0.33728 -4.30353 -1.55724 -0.01 0.04 0.04
C 1.27689 -3.29736 -1.77029 0.03 0.01 0.09
C 0.88938 -1.98294 -1.59685 -0.04 -0.04 0.02
N -0.34086 -1.60693 -1.23738 -0.06 -0.31 -0.35
C -1.25321 -2.57447 -1.10747 -0.02 0.05 0.08
C -0.96297 -3.92369 -1.24976 0.01 -0.02 -0.01
C 2.29657 -6.00911 -0.82533 0.06 0.01 -0.05
C 3.49873 -6.02232 -1.51577 0.00 -0.06 0.00
C 4.67966 -5.97843 -0.78338 -0.02 -0.01 0.01
N 4.71874 -5.92798 0.54420 -0.01 0.00 0.00
C 3.55705 -5.94463 1.19497 0.01 0.00 -0.02
C 2.32353 -5.98842 0.56253 -0.01 0.05 0.00
H 2.29447 -3.53144 -2.05286 0.00 -0.01 0.01
H 1.59705 -1.18133 -1.76881 0.06 0.03 0.03
H -2.26200 -2.26147 -0.85582 -0.01 0.01 0.01
H -1.74042 -4.66070 -1.09618 0.03 0.00 0.01
H 3.51861 -6.07322 -2.59642 0.00 0.03 0.01
H 5.63671 -5.98062 -1.29342 -0.01 0.00 0.01
H 3.61254 -5.92734 2.27811 0.01 0.00 -0.02
H 1.40648 -6.00478 1.13693 0.01 -0.01 -0.01
C -1.53263 3.29431 -3.16108 -0.17 0.05 0.16
As -1.26363 1.53024 -2.40468 0.14 -0.23 -0.29
C -2.84914 0.63781 -3.03435 0.04 0.02 -0.10
C 0.11341 0.81658 -3.55568 0.10 0.09 0.03
H -1.85606 3.13461 -4.18921 -0.05 -0.05 0.02
H -0.62505 3.88108 -3.16580 0.02 0.02 -0.08
H -2.30938 3.82213 -2.61096 0.02 0.00 0.01
H -2.88597 0.77986 -4.11548 0.02 0.00 0.02
H -3.72555 1.06966 -2.56241 -0.02 0.02 0.00
H -2.79916 -0.41413 -2.77688 0.01 -0.04 0.00
H -0.08503 1.13845 -4.57759 -0.01 0.01 0.00
H 0.08975 -0.26785 -3.49884 -0.03 0.00 0.02
H 1.09566 1.17163 -3.24551 0.00 -0.01 0.00

As soon as this momentum appeared, the channel of absorbing energy built by those strong people who originally absorbed the energy of the three-legged golden black egg with secret treasure was suddenly cut off, and then the magnificent energy converged towards the three-legged golden black egg again like a sea tide.

"Get out!"

A domineering and arrogant voice suddenly came from the distant sky, like thunder, rumbling, making people tremble from the soul. Everyone has changed color. Just one word seems to change the color of heaven and earth, make the mountains collapse, and turn the sea into mulberry fields. One word has such great power! What kind of strong man is this? There is an irresistible feeling in everyone's heart!


Suddenly, at this moment, something unexpected happened to Lin Fan! Originally, the Xuanshui spirit that was only lazy to protect Lin Fan and others suddenly opened his eyes that seemed to be closed. Among them, the fierce flames flashed, as if there was infinite anger surging. He suddenly turned back to his body and spewed out a breath to protect Lin Fan and others, and then it seemed to be an invisible body. In a flash, he arrived in mid-air and looked to the northwest from afar.

At this time, not only Lin Fan and others were stunned, but also a large number of strong men such as Tao Ji were stunned. No one expected such a sudden change!

"What's wrong with the spirit of Xuanshui? Why do you seem to have a deep hatred for this unknown existence!" Nangong Ling looked at the motionless spirit of Xuanshui in the air, but angrily, looking at the spirit of Xuanshui in the northwest, puzzled.

"I don't know, let's wait and see." Lin Fan doesn't understand, but he knows that since the spirit of Xuanshui is like this, he must have his own reason.


The needles around can be heard. After a long time, the spirit of Xuanshui suddenly made a roar to the sky. Then, in the astonished eyes of everyone, the whole body of the spirit of Xuanshui faded, like running water, rushing towards the three-legged golden black egg from all directions. Everyone was stunned and found that the spirit of Xuanshui was unexpectedly Unimpeded, he passed through many restrictions and rushed directly into the three-legged golden black egg. The prohibition that caused obstacles to all monks before actually did not hinder the spirit of Xuanshui at all!

A strong wind suddenly blew in the hall, which was the spirit of Xuanshui frantically absorbing the energy from the three-legged golden black egg. The fast speed made a short vacuum zone appear at the top of the altar where the three-legged golden black egg was located, and the surrounding space collapsed rapidly towards that place.


A shattered sound sounded, and the prohibition around the three-legged golden black egg at the top of the altar was constantly destroyed. The strong men of the moonland saw that it was cheap and didn't care about anything else. They scrambled to sacrifice foreign treasures again and tried to absorb a large amount of energy.


An angry sounded again, with crazy anger in it, "How can it be you? How dare you come back to life! The spirit of Xuanshui! You found the heir again!"

There was a strong anger and fear in that voice, as if the spirit of Xuanshui was innately restrained by him, "My rebirth plan will never be destroyed by you!" It is absolutely not allowed!"

**Misplaced records of molecules:**
No. 1
This record from the Open Molecules 2025 dataset describes an isolated molecule of C29H32N2O7. The level of theory is wB97M-V/def2-TZVPD.

Its multiplicity is 1. Its SMILES is COc1cc([C@H](C(=O)NC2CCCC2)N(C(=O)c2ccco2)c2ccccc2C(C)=O)cc(OC)c1OC. For the energy relative to the best compared isomer or geometry (same formula, charge and spin), the calculation gives 108.63 kJ/mol. Its HOMO energy is -8.036 eV. As for the HOMO-LUMO gap: 0.3174 hartree.

Positions of all 70 atoms, in Å:
1 C -4.458 -1.883 -1.336
2 O -4.647 -0.579 -0.847
3 C -3.558 0.245 -0.724
4 C -2.271 -0.155 -1.057
5 C -1.188 0.693 -0.883
6 C 0.200 0.266 -1.298
7 C 0.428 -1.262 -1.349
8 O 0.928 -1.786 -2.333
9 N 0.065 -1.900 -0.240
10 C 0.325 -3.298 0.016
11 C 1.190 -3.451 1.268
12 C 0.207 -3.235 2.425
13 C -1.183 -3.623 1.881
14 C -0.966 -4.017 0.414
15 N 1.239 0.856 -0.450
16 C 1.158 0.779 0.905
17 O 0.240 0.202 1.477
18 C 2.185 1.474 1.685
19 C 2.375 1.400 3.043
20 C 3.469 2.238 3.333
21 C 3.861 2.765 2.139
22 O 3.094 2.312 1.140
23 C 2.383 1.323 -1.146
24 C 2.310 2.533 -1.824
25 C 3.399 3.000 -2.535
26 C 4.562 2.250 -2.588
27 C 4.623 1.023 -1.956
28 C 3.537 0.537 -1.235
29 C 3.589 -0.797 -0.568
30 C 3.973 -1.936 -1.463
31 O 3.284 -0.946 0.594
32 C -1.405 1.958 -0.368
33 C -2.683 2.385 -0.035
34 O -2.790 3.674 0.422
35 C -3.486 3.879 1.638
36 C -3.788 1.544 -0.237
37 O -5.020 2.057 0.080
38 C -6.157 1.640 -0.643
39 H -3.806 -2.468 -0.679
40 H -5.450 -2.333 -1.350
41 H -4.048 -1.882 -2.351
42 H -2.101 -1.139 -1.458
43 H 0.389 0.635 -2.315
44 H -0.215 -1.329 0.556
45 H 0.783 -3.713 -0.885
46 H 2.007 -2.733 1.287
47 H 1.606 -4.459 1.295
48 H 0.482 -3.832 3.293
49 H 0.215 -2.188 2.724
50 H -1.864 -2.775 1.949
51 H -1.622 -4.445 2.445
52 H -0.814 -5.092 0.323
53 H -1.803 -3.737 -0.225
54 H 1.799 0.809 3.724
55 H 3.904 2.425 4.293
56 H 4.643 3.451 1.879
57 H 1.398 3.109 -1.773
58 H 3.341 3.951 -3.043
59 H 5.419 2.617 -3.132
60 H 5.534 0.445 -1.999
61 H 4.212 -2.817 -0.874
62 H 3.102 -2.152 -2.086
63 H 4.796 -1.677 -2.122
64 H -0.592 2.648 -0.207
65 H -3.043 3.280 2.440
66 H -3.365 4.937 1.865
67 H -4.545 3.636 1.550
68 H -6.910 2.408 -0.462
69 H -5.950 1.581 -1.714
70 H -6.529 0.675 -0.294

The crazy sound continued, and as the sound sounded, a violent explosion suddenly sounded in the northwest, and then everyone felt a great pressure, steaming from the northwest!

Dong! Dong! Dong!

The horrible footsteps like drums sounded, and they became louder and clearer, as if there were supreme murderers approaching here quickly!

"Ah! Damn it! Who set the seal here again! Who is it! Who is so secret to me!" Suddenly, the footsteps stopped abruptly, and then there was a crazy roar, "No matter who I am, if I get sleepy, I will wait for you to be broken!"

The angry roar made people tremble, and then there was a click. The unknown powerful existence was obviously trapped and was vigorously cracking the seal!

"Hmm! These old guys want to take advantage of it, but I won't let them take advantage of it! When these old guys free their hands, they will definitely take action against me! Now that they have no time to split up, I'll ask for some interest first!" The powerful existence was obviously inextricable for a moment. Lin Fan looked at the three-legged golden black egg, and the spirit of Xuanshui had been immersed in it. Although it could not be seen, it could be felt that he knew that he now had a great opportunity. Looking back, he saw the moon that absorbed the magnificent energy of the three-legged golden black egg with the help of the secret treasure. The strong man, thinking of these people's coveting for the big head, he suddenly felt disgusted. After that, most of these people wanted to embarrass themselves, he immediately had the idea of taking advantage of people's danger.

As the saying goes, when you are sick and kill you, these strong people are almost as sick. After all, their cultivation has been deprived to the peak of the marrow. After going out, you can no longer find a better opportunity than this.

"An important function of summoning the magic lamp is to refine the demon soul. Although I still can't refine these moonfall strong people, it's not difficult to seal them first." Lin Fan thought of the magic lamp, which he had already remembered in his heart. Although the important functions could not be mastered, it was enough to seal people.

At present, he took out the magic lamp and destroyed it according to the method described in the magic introduction. Suddenly, the magic lamp floated into the air. Then, a red space suddenly appeared in the air and suddenly enveloped the five strong men! This is also because Lin Fan did not dare to take off. After all, it was the first time to use the magic lamp.


Suddenly, at the moment when Lin Fan completely sealed the five people, a violent click suddenly came from the northwest. Lin Fan's heart sank and the words were not good. At this time, a big hand that seemed to grab a hole in the sky suddenly appeared in sight!